Recommendations on Personal Data for the reopening of social, educational and economic activities in Mexico
J. Rafael Amador Espinosa
Regarding recent measures taken by the Mexican Federal Government on the “Notice that sets forth a Strategy for the Re-aperture of Social, Educational and Economic Activities, as well as a Streetlight System by Region” in order to assess -on a weekly basis- the epidemiological risk related to the re-aperture activities in each state, as well as certain mandatory extraordinary safety measures” published in the Official Gazette of the Federation on May 14th, 2020, particularly regarding the preparation of Sanitary Protocols and the implementation of filters at workplaces, which is why it is important to take into consideration that the data treated is considered as sensitive data.
In general terms, it is of great importance to keep in mind that it is an obligation of everyone who holds and processes Personal Data, for example, employers towards their workers, clients (individuals) or visitors (at their offices), to issue a Privacy Notice in accordance with the Federal Law on the Protection of Personal Data in the Possession of Individuals. Thus, Personal Data owners must be informed of the sensitive personal data to be processed, including their purposes and how to exercise their “ARCO” rights, mainly.
Regarding the Sanitary Protocols, it should be taken into consideration that health-status data is considered as sensitive data, because they are directly related to the state of health of individuals, for example, body temperature, so it is necessary to inform the data owners through the Privacy Notice that such data will be treated, when applicable. As well as the fact that, due to the current situation and by rule of the General Law of Health, part of the treatment of such Personal Data requires for it to be shared to the Health Authorities in Mexico.
In the state of Jalisco, through the Jalisco Plan for economic reactivation, a protocol for the application of periodic tests and permanent evaluation of workers must also be implemented.
However, since those Personal Data are considered sensitive, it will be necessary to protect it with high security protocols, not keeping it for longer periods than necessary, nor to share it unlawfully to third parties, as well as to avoid discrimination in case that the owner of such Personal Data presents symptoms of the Coronavirus disease. In my opinion, written consent from the owner of sensitive Personal Data to treat information on his or her health status is not necessary under the current situation.
Data records, kept here for reference:
~~~
Structure and theoretical XRD peak list of Li2Fe3Co3O12 (a structure optimized by DFT (PBE+U); CuKα).
Peak positions follow from Bragg's law for the DFT cell and can differ from measured ones.

Top 12 peaks for 15° ≤ 2θ ≤ 90°, most intense first:
17.87 deg, d = 4.964 Å, I 100, (0 1 -1); 43.30 deg, d = 2.090 Å, I 32, (2 -2 0); 43.15 deg, d = 2.097 Å, I 16, (0 0 3); 36.16 deg, d = 2.484 Å, I 14, (2 1 0); 35.88 deg, d = 2.503 Å, I 11, (-2 1 1); 36.04 deg, d = 2.492 Å, I 10, (0 1 2); 47.34 deg, d = 1.920 Å, I 6, (2 -1 2); 80.57 deg, d = 1.192 Å, I 6, (4 0 2); 37.72 deg, d = 2.385 Å, I 5, (2 0 1); 56.35 deg, d = 1.633 Å, I 5, (0 1 -4); 56.57 deg, d = 1.627 Å, I 5, (2 3 -2); 56.67 deg, d = 1.624 Å, I 5, (2 -3 1)

Structure:
a = 5.8501 Å, b = 5.9775 Å, c = 6.7109 Å
α = 105.19°, β = 103.28°, γ = 90.04°
Positions (direct):
Li (0.1862, 0.1819, 0.1813)
Li (0.8138, 0.8181, 0.8187)
Fe (0.0000, 0.0000, 0.5000)
Fe (0.3330, 0.3460, 0.8255)
Fe (0.6670, 0.6540, 0.1745)
Co (0.1660, 0.6664, 0.1693)
Co (0.5000, 0.0000, 0.5000)
Co (0.8340, 0.3336, 0.8307)
O (0.0680, 0.1124, 0.8157)
O (0.0720, 0.5679, 0.8629)
O (0.2553, 0.7729, 0.4702)
O (0.2557, 0.2096, 0.5073)
O (0.3933, 0.4424, 0.1456)
O (0.4088, 0.8935, 0.1986)
O (0.5912, 0.1065, 0.8014)
O (0.6067, 0.5576, 0.8544)
O (0.7443, 0.7904, 0.4927)
O (0.7447, 0.2271, 0.5298)
O (0.9280, 0.4321, 0.1371)
O (0.9320, 0.8876, 0.1843)

* * * * *

This entry pairs a crystal structure of Pr3CuSe2 with its theoretical powder XRD pattern. Radiation: Cu Kα (λ = 1.5418 Å). Structure: a PBE-relaxed structure.
Peak positions follow from Bragg's law for the DFT cell and can differ from measured ones.

Structure:
a = 6.0222 Å, b = 12.7045 Å, c = 8.5674 Å
α = 90.00°, β = 90.03°, γ = 90.00°
Sites, in units of the cell vectors:
Pr 0.2491 0.0796 0.1206
Pr 0.2491 0.4204 0.6206
Pr 0.2498 0.0866 0.6239
Pr 0.2498 0.4134 0.1239
Pr 0.2511 0.7477 0.1315
Pr 0.2511 0.7523 0.6315
Pr 0.7489 0.2477 0.3685
Pr 0.7489 0.2523 0.8685
Pr 0.7502 0.5866 0.8761
Pr 0.7502 0.9134 0.3761
Pr 0.7509 0.5796 0.3794
Pr 0.7509 0.9204 0.8794
Cu 0.2515 0.5861 0.3788
Cu 0.2515 0.9139 0.8788
Cu 0.7485 0.0861 0.1212
Cu 0.7485 0.4139 0.6212
Se 0.2489 0.2480 0.3731
Se 0.2489 0.2520 0.8731
Se 0.2502 0.5830 0.8781
Se 0.2502 0.9170 0.3781
Se 0.7498 0.0830 0.6219
Se 0.7498 0.4170 0.1219
Se 0.7511 0.7480 0.1269
Se 0.7511 0.7520 0.6269

The 6 most intense peaks (2θ = 10–90°), in order of falling intensity:
two_theta  d_spacing  I (rel.)  (hkl)
29.7  3.011  100  2 0 0
42.5  2.129  50  2 3 -2
69.8  1.347  17  4 3 -2
52.4  1.745  13  2 0 -4
52.9  1.732  13  2 6 0
42.2  2.142  13  0 0 4
~~~
In addition to the above, it is highly advisable to raise awareness among Personal Data owners and to invite them to responsibly and voluntarily disclose any symptoms related to the disease caused by the Covid-19 virus.
To consult the “Notice that sets forth a Strategy for the Re-aperture of Social, Educational and Economic Activities, as well as a Streetlight System by Region” in Spanish please click here.
To consult the Jalisco Plan for economic reactivation in Spanish please click here.
Should you have any questions or concerns regarding the above, or require advice over any other specific subject, please do not hesitate to reach out to us.
Lic. J. Rafael Amador Espinosa